Becoming a parent is a big choice, and there shouldn’t be shame whatever we decide. So why do women who choose to be child-free so often face questioning, accusations, and stigma?
When my sister and I were children, we had different tastes in toys. She begged for baby dolls and prams, while I longed for stuffed animals. She wanted to play ‘mummies and daddies’, while I pranced around pretending to be a cat. Guess which one of us now has a child?
It wasn’t until I heard a similar story being told on the We Are Childfree podcast that I realised my lack of desire to have children was, potentially, always there. In my teens and 20s I was ambivalent, assuming I’d decide later, but when I turned 35 last year, I figured I should give it more serious thought (biological clock warnings ringing loud in my ears).
Discussing the subject with my partner throughout, it didn’t take too long for us both to come to the conclusion that having children is not for us. Being comfortable talking about the decision openly, however, took a little longer.
This was when I discovered the We Are Childfree podcast and community. Hosted by photographer Zoë Noble, the show shares stories of child-free people around the world, looking into the multifaceted reasons why some of us decide to be child-free, the stigma and misconceptions attached, and the need for changing attitudes towards this. Listening to the podcast, I felt a wave of relief. I wasn’t alone, and I wasn’t a ‘bad’ woman for not wanting kids.
Listening to the podcast, I felt a wave of relief. I wasn’t alone, and I wasn’t a ‘bad’ woman for not wanting kids.
/*
Record 1
The following is a DFT calculation (ωB97M-V/def2-TZVPD) of 11 unconnected molecules or ions with the total composition C49H129N11O11 in a non-equilibrium geometry.

XYZ file:
```
200
C49H129N11O11, DFT ωB97M-V/def2-TZVPD
C 1.31006 -2.14422 3.98191
C 0.73024 -1.34139 5.16029
C 1.45176 -1.69906 6.47512
C 0.90247 0.18864 4.88371
C -0.01270 1.08622 5.74361
C -1.45811 0.56803 5.74219
C -1.58074 -0.91316 6.08492
C -1.49592 -1.15584 7.61942
C -3.09142 -1.19221 5.69096
N -0.74375 -1.65205 5.16844
O -0.88930 -3.01756 5.37913
H 0.83952 -1.84580 3.04823
H 2.38752 -1.92673 3.88873
H 1.27626 -3.24331 4.02581
H 2.42523 -2.07872 6.25164
H 1.52363 -0.80113 7.02725
H 0.88371 -2.43652 7.00154
H 1.91472 0.48671 4.92917
H 0.59163 0.39553 3.83453
H 0.39169 1.17348 6.76924
H -0.10507 2.15025 5.37194
H -1.81619 0.70918 4.76701
H -2.12266 1.11661 6.46341
H -2.37433 -0.91109 8.18761
H -0.60129 -0.71962 8.02146
H -1.46046 -2.23214 7.78439
H -3.47563 -2.07513 6.17918
H -3.22560 -1.33243 4.63731
H -3.79875 -0.42636 6.03331
H -1.12365 -3.37791 4.52282
C 0.64851 7.69646 1.85782
O 1.34055 6.50896 2.11779
C 1.35233 5.67965 0.97211
C 1.69599 4.26571 1.36370
C 1.89644 3.35766 0.18719
N 0.60236 3.66064 2.10395
H 0.90000 8.41155 2.64659
H -0.41166 7.53515 1.89835
H 0.82418 7.96401 0.81323
H 0.35112 5.72628 0.52790
H 2.02803 6.04155 0.17770
H 2.64415 4.32449 1.95199
H 2.07867 2.33466 0.54228
H 2.72563 3.70188 -0.37580
H 0.91040 3.24113 -0.39487
H 0.80058 2.70595 2.18540
H 0.40368 4.09747 3.03344
C -0.58219 -4.66573 -1.47482
O -0.74351 -4.34408 -0.15750
C -1.97409 -4.74806 0.34788
C -2.14933 -3.88024 1.63450
C -1.97563 -2.38684 1.36648
N -1.33704 -4.36491 2.71438
H -1.36543 -4.14344 -2.02853
H -0.60212 -5.76474 -1.67249
H 0.35710 -4.13436 -1.75284
H -2.75540 -4.62248 -0.44791
H -1.95939 -5.85933 0.60711
H -3.11591 -4.03078 2.06245
H -0.91115 -2.08213 1.25000
H -2.20452 -1.81551 2.27252
H -2.55331 -2.14701 0.50617
H -1.63834 -5.22825 3.08889
H -0.35720 -4.52681 2.54165
C -6.56021 2.17729 0.37454
O -5.94353 1.72390 1.53735
C -5.26461 2.69160 2.26826
C -6.04670 3.75342 3.01301
C -5.11886 4.55105 3.86965
N -7.11307 3.26616 3.90978
H -5.85085 2.22606 -0.47176
H -6.97874 3.16925 0.48477
H -7.35881 1.49025 0.14157
H -4.79818 2.18766 3.12515
H -4.50478 3.19325 1.68814
H -6.46984 4.41366 2.24034
H -4.33906 4.91920 3.26060
H -4.60566 3.89546 4.63163
H -5.58469 5.45776 4.39320
H -7.84624 2.83051 3.36351
H -6.77882 2.61201 4.53326
C -1.71504 1.63225 0.22844
O -0.90778 0.50051 -0.09640
C -0.28362 0.53462 -1.40732
C 0.08006 -0.93665 -1.68186
C 1.34550 -1.35896 -0.93039
N 0.23684 -1.21078 -3.12404
H -1.15034 2.56685 0.17814
H -2.05576 1.50522 1.30818
H -2.53953 1.63489 -0.52801
H -0.95612 0.84328 -2.15149
H 0.55025 1.27306 -1.41044
H -0.79448 -1.49835 -1.39553
H 1.63443 -2.33561 -1.30363
H 1.08554 -1.41767 0.16746
H 2.21258 -0.69707 -0.92944
H 0.35142 -2.23938 -3.24683
H 1.05249 -0.79109 -3.56199
C 2.75570 -6.01288 -5.81873
O 3.10176 -5.06033 -4.75446
C 4.39688 -4.53737 -4.99479
*/
“I know that, for me, I’ve always been like this,” Zoë says. “There’s no big conspiracy. I just don’t want children – to me it’s like asking, why do I like the colour blue? It’s simply who I am. So I knew that I could maybe change the way people view child-free women in particular, because it’s women who face this judgment and stigma more than men, for sure.”
We only need to look at the constant barrage of speculation and questioning actors like Jennifer Anniston get in contrast to their male counterparts to see how accurate this is.
The catalyst for wanting to share stories from fellow child-free women came during a taxi ride where the driver expressed his shock that Zoë was married, but didn’t want kids.
“For that whole drive he was determined to try to persuade me to change my mind, and I was just so frustrated with that process. I knew then that there was a disconnect between what people think child-free people are, and what we actually are.”
**Calculated molecules, as found in the file**
<<<
Record 1
C40H47N6O3PS2SbY | ωB97M-V/def2-TZVPD

The orbital gap comes out at 7.73 eV. The calculated total energy comes out at -95870.3020 eV. The value obtained for the energy relative to the best compared isomer or geometry (same formula, charge and spin) is 0.0 kcal per mole.

Structure (XYZ):
```
101
Properties=species:S:1:pos:R:3:forces:R:3
Y -0.16773 0.28011 0.30711 0.813 0.331 0.279
N -0.59936 2.67741 2.04637 -0.136 0.115 -0.067
C -1.98393 3.19029 2.03046 0.174 -0.132 -0.041
C -2.40758 3.42173 0.57487 -0.120 0.118 0.059
C -1.83284 2.26977 -0.19658 -0.139 -0.295 -0.148
O -0.84223 2.43106 -0.93555 -0.174 -0.012 0.052
O -2.25338 1.08870 0.08895 -0.334 0.408 -0.014
H -0.34861 2.31814 2.96014 0.009 -0.050 0.007
H 0.04992 3.42405 1.82350 0.015 0.021 -0.012
H -2.11412 4.10241 2.61526 0.015 0.069 0.028
H -2.61152 2.42115 2.47318 -0.028 -0.028 0.003
H -1.99382 4.34980 0.18266 -0.009 0.033 0.003
H -3.49434 3.44671 0.49391 -0.005 0.008 0.015
S 0.62349 -2.25583 -0.63993 -0.012 -0.012 -0.235
C 0.61468 -1.35845 -2.12390 0.113 0.060 0.051
C 0.76999 -1.93911 -3.39502 0.051 -0.046 -0.029
C 0.78146 -1.13074 -4.50688 -0.008 -0.046 -0.035
C 0.61409 0.25211 -4.37336 0.023 -0.046 -0.035
C 0.42872 0.75290 -3.10898 -0.034 -0.112 0.150
N 0.43835 -0.02642 -2.01274 -0.091 0.062 -0.253
H 0.88326 -3.01254 -3.46336 0.000 0.024 -0.022
H 0.91292 -1.56778 -5.49026 -0.003 0.005 0.028
H 0.61296 0.91240 -5.22998 -0.005 -0.042 0.025
H 0.24713 1.80550 -2.93309 -0.004 -0.007 0.044
O 1.95904 -0.02726 1.18884 0.043 0.047 0.116
N 2.25323 -0.87242 2.16176 0.024 -0.107 -0.023
C 3.46800 -1.46745 2.12782 -0.160 0.045 0.010
C 3.85625 -2.32907 3.11295 0.043 -0.050 0.023
C 2.96636 -2.59615 4.15719 -0.004 -0.020 0.055
C 1.73247 -1.99667 4.16576 -0.099 0.024 -0.010
C 1.33937 -1.11218 3.14364 0.060 -0.045 -0.016
S -0.19812 -0.35972 3.06226 -0.003 -0.209 0.196
H 4.06257 -1.20686 1.26660 -0.007 0.020 -0.015
H 4.83056 -2.79177 3.05539 -0.019 -0.001 0.018
H 3.24304 -3.27996 4.95086 -0.020 0.038 -0.046
H 1.00664 -2.19950 4.94196 0.033 0.007 -0.026
C -4.25309 0.16889 2.67104 -0.017 -0.092 0.024
C -5.19305 -0.83120 2.04229 0.029 0.002 -0.006
C -6.56747 -0.68772 2.22078 0.006 -0.059 -0.017
C -7.46657 -1.57250 1.63866 0.068 0.015 0.000
C -6.99400 -2.61736 0.86013 0.066 0.031 0.020
C -5.62405 -2.77225 0.67404 0.036 0.075 0.054
C -4.71149 -1.89578 1.26332 -0.149 0.042 -0.022
Sb -2.58699 -2.14873 0.98446 -0.253 -0.169 0.072
C -2.30254 -3.28067 2.79561 0.034 -0.106 0.105
C -3.25243 -3.18272 3.80930 0.093 -0.105 0.046
C -3.07618 -3.83275 5.02758 0.023 0.009 -0.063
C -1.94388 -4.60300 5.23492 0.000 -0.003 -0.052
C -0.99894 -4.71974 4.22190 -0.022 0.028 0.041
C -1.15477 -4.06313 3.00493 -0.021 0.033 -0.003
C -0.10002 -4.20987 1.94356 -0.059 -0.004 0.002
C -2.74650 -3.61810 -0.56640 -0.029 -0.026 -0.152
C -2.50813 -3.04507 -1.82250 -0.017 -0.141 0.025
C -2.56002 -3.79095 -2.98687 -0.008 -0.068 0.042
C -2.83508 -5.15134 -2.90534 0.003 0.055 0.030
C -3.08088 -5.72735 -1.67114 -0.030 0.020 0.007
>>>
Looking to address this disconnect, Zoë started a photography project, photographing child-free women at her home studio in Berlin. When the pandemic hit, her approach needed to change and this is when the podcast came to life, allowing her to speak to people around the world without limitations.
Speaking with a diverse range of people from different countries and cultures was integral for the project, as Zoë notes a statistic from the United Nations Population Fund’s 2021 State of World Population report that says in countries where data is available, only 55% of women are fully empowered to make their own choices over healthcare, contraception, and the ability to say yes or no to sex.
As well as sharing these necessary stories, the podcast advocates for women’s rights: our right to bodily autonomy, and our right to choose. This is about highlighting the struggles so many face, and breaking down stigma, one conversation at a time.

One misconception I see regularly in regards to child-free women is that it’s a ‘selfish’ act, and that we aren’t ‘contributing’ to society.
“People who are thinking about themselves are not selfish,” Zoë says. “I would say we are the opposite of that. We are thinking about not only ourselves, but the life of a possible child.”
Zoë goes on to explain that there are multiple reasons someone may choose not to have a child, including prioritising their mental and physical health. One woman from the project decided not to have children after struggling with eating disorders for 10 years. Finally at a place where she was happy in recovery, she realised that having a child could un-do this progress and, for her, it simply isn’t worth her putting her body and mind through it.
“We don’t need to earn our keep on this planet. We don’t need to produce, produce, produce, to be somehow valuable to society,” Zoë reminds us.
We don’t need to earn our keep on this planet. We don’t need to produce, produce, produce, to be somehow valuable to society.
The reality is that we are valuable just as we are. And, in fact, due to our decision to be child-free, many of us have more time, energy, and financial means to volunteer, support communities and be there for others.
There are so many ways we can nurture and pass on our learning to others without having to have children of our own. As an auntie, I can already see how wonderful it is to have children in my life I can support, without compromising my own needs and desires. Zoë also points out that as well as supporting nieces and nephews, we can be in a great position to throw out a life-line for parents who may be struggling.
If you’re reading this and thinking, what if I just don’t know if I want kids? You’re not alone. Zoë notes that ambiguity is a big issue in the child-free community, and there’s nothing wrong with not knowing. What is important is to really check-in with your own wants and desires.
“I think a lot of people are actually getting confused about their own desires, because we don’t give people the tools to decide what they should want in their lives. We set them off on a path where you get the job, you get the partner, the house, the child, and then you retire, and that’s it. Instead, we need to empower people to really think about what matters to them, what is their personality? What do they love? What do they not love? Those are important questions that you need to ask yourself.”
[What comes next are quantum chemistry results, not part of the piece]
-- begin --
Below is a molecular structure, C31H23ClMnNO5P in a non-equilibrium geometry, with properties calculated with ωB97M-V/def2-TZVPD.

Last column: Löwdin charge in e.
Cartesian coordinates (Å):
Mn (-1.281, 0.292, 1.172)  0.879
O (-0.058, -0.846, 2.633)  -0.038
C (0.310, 0.311, 2.957)  -0.719
O (-0.479, 1.279, 3.083)  -0.019
C (1.787, 0.595, 2.979)  -0.136
C (2.592, 0.672, 4.102)  -0.013
C (3.926, 1.022, 3.964)  -0.072
C (4.442, 1.309, 2.710)  -0.076
C (3.650, 1.205, 1.579)  -0.083
C (2.314, 0.835, 1.704)  -0.272
P (1.185, 0.563, 0.275)  1.136
C (1.809, 1.775, -0.925)  -0.377
C (1.789, 1.490, -2.287)  -0.090
C (2.216, 2.436, -3.200)  -0.075
C (2.640, 3.683, -2.768)  -0.083
C (2.603, 3.993, -1.418)  -0.080
C (2.181, 3.049, -0.500)  -0.122
C (1.866, -1.029, -0.318)  -0.329
C (1.126, -2.179, -0.065)  -0.080
C (1.573, -3.408, -0.515)  -0.064
C (2.765, -3.498, -1.214)  -0.082
C (3.519, -2.358, -1.443)  -0.082
C (3.077, -1.126, -0.998)  -0.095
H (2.181, 0.459, 5.077)  0.120
H (4.559, 1.071, 4.839)  0.105
H (5.474, 1.613, 2.613)  0.103
H (4.064, 1.420, 0.603)  0.103
H (1.451, 0.519, -2.617)  0.113
H (2.224, 2.200, -4.254)  0.105
H (2.992, 4.414, -3.482)  0.102
H (2.911, 4.972, -1.078)  0.105
H (2.162, 3.288, 0.556)  0.111
H (0.187, -2.096, 0.470)  0.078
H (0.976, -4.289, -0.335)  0.107
H (3.100, -4.454, -1.590)  0.102
H (4.451, -2.429, -1.986)  0.102
H (3.656, -0.237, -1.205)  0.101
O (-3.207, -2.685, -2.368)  0.078
C (-3.476, -3.455, -1.290)  -0.262
C (-3.986, -4.743, -1.423)  -0.028
C (-4.308, -5.498, -0.309)  -0.086
C (-4.119, -4.976, 0.960)  -0.089
C (-3.612, -3.699, 1.102)  -0.014
C (-3.278, -2.932, -0.007)  -0.068
C (-2.722, -1.566, 0.209)  -0.614
O (-3.142, -0.900, 1.195)  -0.061
O (-1.846, -1.090, -0.561)  -0.051
H (-3.409, -3.171, -3.176)  0.112
H (-4.140, -5.146, -2.416)  0.110
H (-4.721, -6.490, -0.435)  0.103
H (-4.372, -5.562, 1.831)  0.099
H (-3.461, -3.271, 2.080)  0.121
Cl (-5.782, 3.241, -1.005)  0.703
C (-4.105, 3.326, -0.637)  -0.645
C (-3.376, 4.482, -0.893)  -0.072
C (-2.027, 4.473, -0.574)  -0.037
C (-1.476, 3.343, 0.007)  -0.110
N (-2.187, 2.248, 0.279)  0.024
C (-3.476, 2.232, -0.051)  -0.127
H (-3.850, 5.353, -1.320)  0.112
H (-1.411, 5.341, -0.756)  0.111
H (-0.428, 3.307, 0.274)  0.093
H (-4.022, 1.323, 0.163)  0.111

As for the LUMO energy (alpha / beta): 0.21 / 0.14 eV. The multiplicity is 6. As for the total charge: 0.

=====

Run w
Computed, not measured: an isolated molecule of C6H10N2O2, with ωB97M-V with the def2-TZVPD basis set.

```
20
C6H10N2O2 | the Open Molecules 2025 dataset | ωB97M-V with the def2-TZVPD basis set
O 1.999 -1.172 0.216
O 0.531 1.745 -1.210
N 1.582 -2.319 -0.514
N 1.028 -0.060 0.005
C 1.290 0.765 -1.067
C -2.368 0.201 1.911
C -2.996 1.045 0.868
C 2.581 0.496 -1.817
C -0.967 0.123 1.552
C -0.096 0.014 0.697
H 2.299 -2.448 -1.259
H 2.650 1.221 -2.539
H -3.062 0.558 -0.058
H -2.469 0.567 2.948
H -4.134 1.375 1.024
H 1.406 -3.093 0.216
H 2.373 -0.550 -2.185
H -2.898 -0.714 1.952
H -2.348 1.894 0.572
-- stop --
Zoë also suggests, where possible, to try looking after children for an extended period of time (think a few days, not a few hours) to get a clearer idea of what parenthood could look like. The view of parenthood we see can sometimes be sterilised, as it sits in an environment where parents can feel judged for admitting they’re struggling. Promoting honesty in this realm would not only help those deciding if it’s right for them, but it would help parents know they’re not alone and they’re doing an incredible job.
Being a parent is hard work, and I have so much admiration for those who do it. I see the joy it brings my loved ones, and that is an incredible thing. Knowing it wouldn’t be the same for me, and admitting that… is also an incredible thing.
“There are no guarantees in life,” Zoë adds. “But one thing is for sure, if you can truly choose the life path that you want, you have a far better chance of being happy – that I am sure of.”
Header image: Portrait of Lis, photography Zoë Noble
Understanding your core values and what you truly want from life can be helpful if you are struggling with this decision. To speak with a life coach, visit Life Coach Directory.